Warning to Fast-Track Applicants – ‘Exploit the Whenua, Face the Consequences’

Source: Te Pati Maori

Te Pāti Māori has this morning issued a stern warning to Fast-Track applicants with interests in mining, pledging to hold them accountable through retrospective liability and to immediately revoke Fast-Track consents under a future Te Pāti Māori government.

This warning comes ahead of today’s third reading of the Fast-Track Approvals Bill.

“We have placed sixteen Fast-Track applicants on notice that Te Pāti Māori will hold them retrospectively liable and immediately revoke their consents when we form the next Government,” said co-leaders Debbie Ngarewa-Packer and Rawiri Waititi. 

“We are not here to protect profiteering at the expense of our whenua, our moana, and the wellbeing of future generations.

“These Fast-Track consents represent unchecked exploitation, bypassing due process, environmental safeguards, and the voice of local communities.

“We will ensure that corporations exploiting this flawed system are held accountable for the harm they cause,” said Ngarewa-Packer.

“Te Pāti Māori is committed to repealing the Fast-Track legislation and holding those complicit retrospectively liable for the damage done to the whenua.

“Our message to these corporations is clear: exploit the whenua , face the consequences. Aotearoa is not interested in corporate exploitation driven by the greedy,” said Waititi.

Te Pāti Māori is urging all New Zealanders to stand with them in opposing the erosion of environmental protections and the exploitation of public resources.

Luxon Folds on ACT’s Treaty Principles Bill

Source: Te Pati Maori

Te Pāti Māori Co-Leader, Debbie Ngarewa-Packer, is calling Luxon’s leadership a joke after it was revealed this morning on Q+A that ACT’s Treaty Principles Bill was not a bottom line.

“New Zealand officially has a laughing-stock Prime Minister whose leadership folded as he trades away the rights of tangata whenua for a taste of power,” says Ngarewa-Packer.

“What we now know is that the Treaty Principles Bill was not a bottom line for coalition negotiations. Instead, Luxon caved to Seymour and the ACT Party’s demands.

“Christopher Luxon’s leadership is a laughing stock. He is gutless and is being dog-walked by his handlers—ACT and New Zealand First.

“The wool can no longer be pulled over the eyes of New Zealanders when Luxon says he does not support the Treaty Principles Bill. He has clearly folded, and we must be on full alert for what Luxon will trade away next.

“We must continue to apply the pressure, continue to unite in kotahitanga, and commit to making this a one-term government,” she said.


Waititi Orders Police Withdraw from Matapihi

Source: Te Pati Maori

Te Pāti Māori co-leader and MP for Waiariki is demanding that the Police Minister immediately remove the heavy Police presence in the Matapihi community, as hundreds of officers saturate the Western Bay of Plenty area.

“Minister Mitchell must intervene immediately and order the removal of the armed Police presence in Matapihi, in my electorate,” said Rawiri Waititi, MP for Waiariki.

“The New Zealand Police are causing public disorder in the Matapihi community, harassing and distressing residents, including kaumātua and kuia.

“We have armed officers obstructing access to private property and even urupā where loved ones are buried. This is a disgusting overreach and must be withdrawn immediately.

“This Government is posturing in Māori communities because of their absurd gang-patch ban, diverting significant Police resources to enforce it, while causing more harm than good.

“Iwi, marae, and whānau are working really hard on the ground to ensure tikanga on Marae and urupā are adhered to. Police do not need to be part of that, they have no mandate, and should not be using tangaihanga as an opportunity to clip their gang patch ticket.

“We don’t need hundreds of Police in this small community, aggravating and preying on an already hard time for whānau—such as tangihanga.

“The Minister must withdraw his armed Police force immediately,” Waititi said.

Government’s First Year a ‘Catastrophe for Māori’

Source: Te Pati Maori

Te Pāti Māori is calling the Government’s first year a catastrophe for Māori, following a year of policies that have done nothing but marginalise tangata-whenua.

Today marks one year since the coalition was sworn into power.

“This year has been an absolute catastrophe for Māori. This Government has fast-tracked us back towards the colonised and assimilated,” said co-leader, Debbie Ngarewa-Packer.

“This Government is so focussed on taking tangata whenua backwards that it has become horribly clear that they are willing to finish off the colonisation process.

“They disestablished the Māori Health Authority and repealed smokefree laws to keep us dying 7 to 10 years earlier.

“They redirected $3 billion in tax cuts to benefit landlords while pouring funds into mega-prisons, perpetuating cycles of homelessness and incarceration for our people.

“They have withdrawn investment in Te Reo Māori and actively suppressed its use, striking at the heart of our culture and identity.

“They have accelerated the exploitation of our natural resources, prioritising corporate profits over the well-being of our people and environment.

“They’re stripping Te Tiriti protections from the care and management of our tamariki, disenfranchising whānau and enabling the systemic theft of our children.

“And they are progressing to remove Te Tiriti from 28 pieces of legislation, whilst actively trying to erase and redefine it.

“These are only some of the examples that perpetuate the imperial agenda of colonisation.

“This Government’s agenda serves corporate greed – benefiting the 2% who hold 50% of the wealth – while ignoring the voices of tangata whenua and the needs of our nation. We must continue to stand together as we did for the Hīkoi mō Te Tiriti.

“We must remain vigilant, continue to mobilise, and work together to ensure this is a one-term Government,” Ngarewa-Packer said.


Ngarewa-Packer Demands Support for Palestine Ceasefire from New Plymouth Mayor

Source: Te Pati Maori

Te Pāti Māori Co-Leader and MP for Te Tai Hauāuru, Debbie Ngarewa-Packer is calling on the Mayor for New Plymouth, Neil Holdom, to do the right thing.

“I am shocked at his decision to disregard the petition presented by Palestine Solidarity Taranaki calling for an immediate and permanent ceasefire”, said Ngarewa-Packer.

“The group made up of his constituents have shown up week after week at Puke Ariki Landing for over a year to stand against the genocide taking place in Gaza, and the killing now extending to Lebanon, Syria and Yemen.

“They have worked with other Palestine Solidarity Network groups who have successfully garnered support from their local councils. They gathered 1800 signatures from local supporters and endorsements from two Iwi, church groups and Taranaki Muslim Association.

Molecular data, as found in the file:
┌──
[1]
119
Properties=species:S:1:pos:R:3 method="wB97M-V/def2-TZVPD" energy_ha=-3381.4102 homo_ha=-0.19397 charge=-1 fmax_ev_per_a=1.151 multiplicity=1
O 4.076 -0.833 1.851
C 2.950 -0.938 1.530
F 2.029 -1.506 2.337
N 2.341 -0.497 0.323
N 2.962 0.710 -0.176
C 1.958 1.636 -0.672
Cl 1.437 1.116 -2.312
C 0.697 1.771 0.203
C -0.439 0.759 -0.004
O -0.968 0.362 1.271
C -1.037 -1.009 1.500
C -2.230 -1.686 0.806
F -3.102 -0.808 0.289
F -1.850 -2.497 -0.204
F -2.929 -2.466 1.663
C 2.749 3.022 -0.660
O 2.975 3.584 -1.723
O 3.057 3.302 0.530
C 2.358 -1.565 -0.620
O 1.662 -2.515 -0.528
F 3.242 -1.411 -1.600
H 3.437 1.198 0.585
H 0.299 2.774 0.016
H 0.995 1.746 1.254
H -0.117 -0.128 -0.558
H -1.258 1.216 -0.570
H -0.136 -1.543 1.174
H -1.164 -1.140 2.579
C -2.243 0.828 -6.510
C -2.580 -0.254 -5.486
C -1.272 -0.364 -4.711
O -0.691 0.939 -4.739
C -1.365 1.761 -5.685
H -3.121 1.330 -6.914
H -1.674 0.396 -7.338
H -3.382 0.097 -4.832
H -2.888 -1.201 -5.928
H -0.588 -1.079 -5.177
H -1.413 -0.661 -3.670
H -1.978 2.494 -5.148
H -0.625 2.301 -6.278
C -7.545 1.368 -5.506
C -7.234 1.996 -4.148
C -5.710 2.003 -4.159
O -5.324 2.161 -5.525
C -6.449 1.969 -6.378
H -8.546 1.591 -5.875
H -7.434 0.283 -5.452
H -7.618 3.018 -4.109
H -7.644 1.444 -3.304
H -5.306 1.058 -3.780
H -5.278 2.818 -3.577
H -6.757 2.937 -6.790
H -6.156 1.320 -7.205
C -2.356 1.134 6.621
C -0.934 1.622 6.333
C -0.512 0.710 5.185
O -1.710 0.409 4.467
C -2.845 0.809 5.215
H -2.979 1.872 7.125
H -2.332 0.229 7.233
H -0.957 2.660 5.993
H -0.263 1.560 7.189
H -0.072 -0.223 5.555
H 0.197 1.180 4.503
H -3.275 1.697 4.737
H -3.592 0.013 5.193
C -5.135 3.456 0.953
C -4.572 3.264 2.361
C -3.262 2.540 2.069
O -2.824 3.016 0.796
C -3.867 3.742 0.157
H -5.870 4.258 0.877
H -5.600 2.531 0.606
H -4.378 4.234 2.824
H -5.228 2.695 3.020
H -3.405 1.456 2.011
H -2.482 2.737 2.804
H -3.624 4.811 0.172
H -3.931 3.421 -0.884
C 8.601 -2.153 1.170
C 7.111 -2.253 1.490
C 6.713 -3.490 0.698
O 7.865 -4.342 0.677
C 9.006 -3.621 1.137
H 9.169 -1.576 1.900
H 8.745 -1.697 0.188
H 6.966 -2.425 2.559
H 6.538 -1.373 1.209
H 6.443 -3.230 -0.331
H 5.881 -4.036 1.145
H 9.275 -3.979 2.138
H 9.842 -3.822 0.465
C 5.397 0.870 6.013
C 4.698 0.187 4.838
C 3.243 0.560 5.093
O 3.261 1.834 5.739
C 4.590 2.157 6.141
H 6.457 1.053 5.844
H 5.294 0.268 6.920
H 5.041 0.613 3.895
H 4.851 -0.890 4.796
H 2.761 -0.166 5.758
H 2.651 0.637 4.180
H 4.983 2.938 5.481
H 4.563 2.546 7.160
C 0.490 -5.847 -4.215
C 0.414 -5.243 -2.813
C 0.389 -3.752 -3.120
O -0.278 -3.623 -4.386
C -0.406 -4.898 -5.002
H 0.155 -6.882 -4.268
H 1.515 -5.799 -4.590
H -0.513 -5.545 -2.321
H 1.248 -5.519 -2.170
H 1.400 -3.348 -3.210
H -0.147 -3.169 -2.374
H -1.454 -5.219 -4.954
H -0.122 -4.813 -6.053

---

[2]
9
Properties=species:S:1:pos:R:3 method="wB97M-V/def2-TZVPD" energy_ha=-117.7862 homo_ha=-0.35957 e_above_lowest_ev=2.334 charge=0 fmax_ev_per_a=6.404 multiplicity=1
C 1.331 -0.196 0.128
C 0.149 0.358 -0.142
C -1.194 -0.199 -0.171
H 2.255 0.434 0.197
H 1.593 -1.195 0.184
└──

“These are your constituents, your people.

“This process unfairly removes the ability for input of hardworking and empathetic councillors who may have chosen to vote in support of this group.

“Unfortunately, this action mirrors what is happening with the current Government – removing due process, disallowing input by those most affected and most informed and harming those who already suffer the most. Fast-tracking and bypassing.

“I refuse to accept that this is not a council issue. This is an everyone issue… this is an absolute issue of human rights.

“In Gaza there have been at least 43 000 killed, over 100 000 injured, over 10 000 missing, almost the entire population displaced and faced with starvation. This is a human issue.

“We have seen successful support from other councils around Aotearoa such as Whanganui and Christchurch and the Mayor himself has in the past shown support for Ukraine, citing the need to support his constituents who may be affected.

“We must afford that same curtesy to Palestinians, their friends, whānau, and advocates within your own community.

“As Te Pāti Māori co-leader and MP for Te Tai Hauāuru I stand wholeheartedly in solidarity with the indigenous peoples of Palestine and stand against colonial forces.

“I urge New Plymouth Mayor to reconsider his position, show his humanity and afford New Plymouth District Council the opportunity to stand on the right side of history”, concludes Ngarewa-Packer.

Govt Must Clean Up ‘Its Shit’ From Sunken HMNZS Manawanui

Source: Te Pati Maori

Te Pāti Māori is calling out the Government and New Zealand Defence Force (NZDF) for their inaction and disgraceful downplaying of the impact caused by the sunken HMNZS Manawanui in Samoa.

“We demand the Government move without further delay to clean up its shit from the sunken HMNZS Manawanui in Samoa,” said co-leader Debbie Ngarewa-Packer.

“Three weeks have passed since the sinking of HMNZS Manawanui, and our Government continues to carelessly let it spill diesel into the moana of Samoa. It is time this inaction is called out, and the Government is taken to task.

“This Government continues to treat our environment as a dumping ground, and now our Samoan ‘āiga are also suffering the consequences of careless mismanagement.

“This is not just a spill in the ocean; it deprives the Tafitoala community and Samoan people of their moana, their food source, and their economy to survive.

“The fact that the Minister of Defence is downplaying the impact of the sunken Manawanui, calling the spill a ‘trickle’ and questioning the accuracy of Samoan authorities, is disgraceful.

“They must be prepared to compensate the Samoan Government and its communities for the cost of the impact on ecosystems and on the people whose life source has been compromised. They must also be transparent and accountable for any potential impacts on water quality and marine life.

“Failure to act will stain our relationship with Samoa. New Zealand has apologised enough to the ‘āiga of Samoa. Let this not be another case,” said Ngarewa-Packer.


Sanctions Soar, Jobs Vanish – National’s Cruelty Exposed

Source: Te Pati Maori

Te Pāti Māori is enraged at the National government’s ruthless punishment of beneficiaries, all while jobs are disappearing.

MSD data shows a 133% increase in sanctions over the past year, with over 14,000 sanctions in just three months. The kicker? The jobs this government insists people should find are nowhere to be seen.

“The traffic light system is a dead end, a road to nowhere, a tool designed to punish whānau for not finding jobs the government itself has destroyed,” says Te Pāti Māori co-leader Debbie Ngarewa-Packer.

“Instead of supporting people, they’re kicking them while they’re down. It’s cruelty masquerading as policy.”

Since taking office, National has slashed more than 7,000 public sector jobs, then turned around to punish people for being out of work.

“They’ve gutted the job market and then punished whānau for failing to find phantom jobs,” said co-leader Rawiri Waititi.

“This isn’t incompetence—it’s a deliberate attack on our people. They’ve built a system designed to fail, and they’re celebrating the suffering they’ve caused.

Te Pāti Māori has the solutions. Our policies will restore dignity and opportunity. We will scrap benefit sanctions and ensure everybody is paid enough to live with dignity, whether they are in employment or not. We will invest in job creation and retraining programmes.

“While National is pushing whānau deeper into poverty, we offer a path out. Our solutions will allow whānau to thrive, not just survive,” says Ngarewa-Packer.

“Beneficiaries are being sanctioned for missing appointments they can’t afford to attend because they don’t have bus fare,” adds Waititi.

“They tout rising sanctions as success, but what they’re really celebrating is hungry children, struggling families, and people forced into desperation. Calling that a ‘win’ is beyond disgraceful.”

Te Pāti Māori will be demanding an urgent meeting with the Prime Minister to put an end to this failing system.

“We will not stand by and watch as this government destroys our whānau,” says Ngarewa-Packer.

“If they refuse to meet, they are turning their backs on the people. We will hold them to account—in the House and in the streets.”

“This isn’t just about sanctions—it’s about the destruction of our people’s ability to put food on the table without Big Brother looking over their shoulder,” said Waititi.

“If this government can’t see how this disproportionately impacts Māori, then they have gone blind in their ivory tower.”

Te Pāti Māori will fight to end this cruelty and rebuild a system that empowers, supports, and uplifts our people.

Police Perpetuate Siege on Ōpōtiki

Source: Te Pati Maori

Te Pāti Māori MP for Waiariki, Rawiri Waititi, says today’s police-sponsored terrorism in Ōpōtiki is a continuation of the State’s predatory behaviour towards the iwi of Te Whakatōhea.

“Ōpōtiki is once again being intentionally targeted and is the direct byproduct of this Government’s ‘tough on crime’ legislative changes,” said MP for Waiariki, Rawiri Waititi.

“This predatory action only exacerbates the broken relationship between Te Whakatōhea and authorities, which has been strained for centuries, ever since the death of Rev. Carl Sylvius Völkner in 1865.

“Violating whānau in their own homes on a hunch, and then throwing our people into this racist system, will do nothing to address the systemic issues created by this and successive Governments.

“In anticipation of what we know will be yet another empty apology from the Government this week, we recognise these targeted attacks as merely doubling down on this Government’s racist agenda to exterminate our people.”

“I demand that the Police Commissioner immediately convene a meeting with Te Whakatōhea and explain why the police have chosen to activate their state-sponsored terrorism in Ōpōtiki today, when te iwi Māori converges on Tuahiwi Marae in Ōtautahi for the hui ā-motu that empowers te iwi Māori to move towards our own nationalism and liberation from this oppressive Pākehā system.

“Ōpōtiki needs stability, support, and meaningful community intervention, rather than actions that incite fear and division. It doesn’t need the state to continuously torment them,” said Waititi.

ASA Declares Hobson’s Pledge Advertising Misleading and Socially Irresponsible

Source: Te Pati Maori

Te Pāti Māori Co-leaders Rawiri Waititi and Debbie Ngarewa-Packer welcome today’s ruling from the Advertising Standards Authority (ASA), which found that a Hobson’s Pledge advertisement regarding customary marine titles was misleading and socially irresponsible.

The two-page wraparound ad, published in The New Zealand Herald, suggested that nearly the entire coastline of Aotearoa is under threat of being awarded to Māori through customary marine titles, implying that this would lead to widespread restrictions on public beach access.

The ASA upheld more than 650 complaints, stating that Hobson’s Pledge’s claims were materially misleading and failed to substantiate their arguments. The Board also recognised that the advertisement unnecessarily perpetuated fear, further marginalising Māori.

“This is exactly the kind of divisive and racist rhetoric that has no place in Aotearoa,” says Te Pāti Māori Co-leader Rawiri Waititi.

“Hobson’s Pledge is playing on misinformation to sow fear and division. This campaign feeds into the age-old tactic of pitting Pākehā against Māori in an attempt to undermine Māori rights that are legally recognised, culturally significant, and protected under Te Tiriti o Waitangi.”

“The ruling highlights what we already knew—that this ad was not only misleading but also socially irresponsible on the part of Hobson’s Pledge and NZME,” said Co-leader Debbie Ngarewa-Packer.

“NZME and advertising outlets must take responsibility for the content they publish and promote, especially when it is harmful to Māori and perpetuates dangerous narratives.”

“It is everyone’s duty to stop giving a platform to this kind of fear-based, racist, and misleading propaganda. It must continue to be called out for what it is,” Waititi said.

“Te Pāti Māori stands strong in protecting the rights of tangata whenua and upholding our responsibilities as kaitiaki. It’s time for all of Aotearoa to stand with us in rejecting these damaging and deceptive campaigns.”

“As we have demanded, NZME must now apologise to all tangata whenua across its platforms. It must apologise to all staff, their standards must be reviewed and there must be a commitment to the protection of tangata whenua,” said Ngarewa-Packer.

“This ruling is a win for the truth and a reminder of our collective duty to honour Te Tiriti. This is the type of rhetoric this government continues to embolden.

“Te Pāti Māori will continue to fight for a future where Māori rights are respected, and all New Zealanders understand the truth about our shared history and our collective path forward,” she said.

Govt Gambling Safety of our Moana

Source: Te Pati Maori

Yesterday the government announced the list of 149 projects selected for fast-tracking across Aotearoa. Trans-Tasman Resources’ plan to mine the seabed off the coast of Taranaki was one of these projects.

“We are disgusted but not surprised with the government’s decision to fast-track the decimation of our seabed,” said Te Pāti Māori Co-Leader, and MP for Te Tai Hauāuru, Debbie Ngarewa- Packer.

“Seabed mining will wipe out habitats and lead to the extinction of entire species – compromising the livelihoods of our coastal communities.

“Thirty-year permits allowing plumes of sludge, sediment, and residual metals to be discharged from ships will impact ecosystems hundreds of kilometres away from the mining sites.

## Inserted here: data records
-- begin --
Density functional theory data (wB97M-V/def2-TZVPD) for a molecular structure, C27H30ClN5OPRh at a distorted geometry.

Its LUMO energy (spin up / spin down) is -6.8 / -9.0 eV. As for the multiplicity: 5. Its gap between HOMO and LUMO (spin up / spin down) is 7.25 / 5.91 eV. Its charge is +2.

Each line ends with the Mulliken spin population.
Geometry (Å):
Rh -1.05833 -0.10809 0.52228  2.32
Cl 0.27474 0.32692 2.80048  0.07
C 1.57261 1.43621 2.37892  -0.03
C 2.20213 2.11768 3.39813  0.00
C 3.23437 2.98989 3.07298  0.01
C 3.62152 3.16133 1.75200  0.00
C 2.97613 2.46552 0.73985  0.01
C 1.94012 1.58546 1.04299  0.01
P 1.09659 0.63031 -0.23523  0.13
C 1.51994 1.38188 -1.80837  0.00
C 2.39543 0.77622 -2.70682  0.02
C 2.74770 1.44858 -3.86992  0.00
C 2.22115 2.70352 -4.14097  0.02
C 1.33003 3.29971 -3.25449  0.00
C 0.97179 2.63734 -2.09281  0.04
C 1.82701 -1.02220 -0.20288  0.03
C 2.89357 -1.36310 0.62806  0.03
C 3.40112 -2.65455 0.59485  0.00
C 2.84149 -3.60869 -0.24769  0.02
C 1.77252 -3.27681 -1.07233  -0.01
C 1.26066 -1.98691 -1.04590  0.01
H 1.89718 1.97404 4.42715  0.00
H 3.73550 3.53487 3.86266  0.00
H 4.42569 3.84164 1.50580  0.00
H 3.28067 2.59852 -0.29093  0.00
H 2.81660 -0.19891 -2.49774  0.00
H 3.44011 0.98913 -4.56400  0.00
H 2.50630 3.22257 -5.04740  0.00
H 0.91441 4.27528 -3.47250  0.00
H 0.27811 3.09937 -1.39563  0.00
H 3.33796 -0.62171 1.28142  0.00
H 4.24188 -2.91978 1.22469  0.00
H 3.24076 -4.61576 -0.25997  0.00
H 1.34620 -4.01933 -1.73711  0.00
H 0.44306 -1.71264 -1.70640  0.00
C -2.52423 -1.73281 -1.75399  -0.01
N -2.54665 -0.34724 -1.23675  0.09
C -2.18847 0.59336 -2.31597  0.02
C -3.88433 -0.04606 -0.68328  0.00
C -3.84374 1.11797 0.28517  0.01
N -2.90064 0.88533 1.39924  0.12
C -3.45113 -0.06241 2.39279  -0.01
C -2.56409 2.16750 2.05832  0.02
H -3.36553 -1.91256 -2.43051  0.00
H -2.58815 -2.44457 -0.93222  0.00
H -1.60481 -1.90479 -2.31009  0.01
H -2.88489 0.50401 -3.15577  0.00
H -1.18274 0.38131 -2.67438  -0.01
H -2.21403 1.62026 -1.95314  0.01
H -4.25820 -0.94295 -0.18831  0.00
H -4.58112 0.19162 -1.49301  0.00
H -4.84945 1.28893 0.67886  0.01
H -3.53624 2.02801 -0.22981  0.00
H -4.37040 0.33499 2.83262  0.01
H -2.72785 -0.21769 3.19103  0.00
H -3.67473 -1.02303 1.93261  0.01
H -3.47469 2.70266 2.34369  0.01
H -1.98868 2.79903 1.38136  0.00
H -1.98255 1.98274 2.95654  0.00
O -1.25616 -2.20070 1.36750  0.51
N -0.37850 -2.98210 1.69533  0.47
C -0.41697 -4.25930 1.80922  0.06
C -1.57675 -4.98746 1.37321  0.02
N -2.54471 -5.50433 1.02691  -0.01
C 0.73837 -4.93995 2.32854  0.00
N 1.67537 -5.47728 2.72110  -0.01


Density functional theory data (wB97M-V/def2-TZVPD) for a molecular structure, C11H11F4N2RhS3 at a distorted geometry.

Its LUMO energy (spin up / spin down) is -2.5 / -2.2 eV. Its gap between HOMO and LUMO (spin up / spin down) is 5.26 / 5.81 eV.

Each line ends with the natural charge from an NBO analysis.
Geometry (Å):
Rh 0.98859 -0.64630 1.06551  0.83
C -0.86851 -3.29880 1.21331  -0.42
-- stop --

“This announcement will bring nothing by destruction for the people of South Taranaki, Te Tai Hauāuru, and all of Aotearoa,” said Ngarewa-Packer.

“They aren’t mining in Remuera, or Waiheke Island. Luxon is happy to line the pockets of his rich mates so long as their projects don’t affect him,” said Te Pāti Māori Co-Leader, Rawiri Waititi.

“We have ministers with no experience prepared to gamble the safety of our moana with an experimental sector that failed to meet any environmental threshold in every court across Aotearoa.

“The arrogance of this government is unprecedented.

“They have ignored every piece of evidence, and they have ignored the voices of all the people who will have to deal with the consequences of their short-sighted decisions,” said Waititi.

Whatever “boost” we get for our economy, our taiao will make the real price of these destructive practices unmistakably clear.